
5 Ways to Use Sales Analytics to Increase Customer Retention

May 9, 2019

Your most valuable kinds of customers are the ones you keep. Your most dangerous customers are the ones you lose.

It’s been proven time and time again: customer retention is the simplest, most affordable way to drive profit. It’s cheaper than acquiring new customers, it increases average customer lifetime value, and it creates more brand “evangelists” who spread the good word about your business.

On the other side of the coin, losing customers is incredibly bad for business. 52% of the time, unsatisfied customers talk smack about businesses that wrong them.

Source: BuildFire

So, it’s fair to say that customer retention is exceedingly important. Simply put, customer retention is keeping your customers active after their first purchase. Depending on your business model and average buying cycle, this can look like anything from a purchase every day (think Starbuck) or a purchase every few years (like Toyota).

The short of it: as long as the customer keeps coming back, they are retained.

But how do you retain customers? Since we’re all about the data here, let’s break down five straightforward ways you can use sales analytics to increase your customer retention rate and decrease the dreaded churn.

Measure Churn Rate So You Know What’s Up

Churn rate is the percentage of customers you lose overtime–or the exact opposite of customer retention. It seems pretty obvious, but truthfully, very few businesses run the calculations to know what percentage of customers are lost in each sales period.

To calculate your churn rate, you first need to define what churn means for your business. At what point is a customer “lost”? There are two common points:

  • When they cancel their subscription, membership, or service
  • When their subscription, membership, or service ends and they don’t renew

It’s important to note that when a customer cancels or lets their service lapse, all hope isn’t lost. You should have systems in place to try to win them back by either correcting what made them cancel or reminding them to renew.

_Unrelated to this piece: records of crystals_
<<<
# 1
Cs4Rb5Na3: simulated powder X-ray diffraction pattern (λ = 1.5418 Å (Cu Kα)), based on a DFT-relaxed cell (GGA-PBE, Alexandria).
Neutral-atom scattering factors, no anomalous dispersion.

Peak list (10 most intense, 2θ from 15° to 90°, by angle)
2θ 18.45, intensity 21
2θ 19.92, intensity 19
2θ 20.04, intensity 14
2θ 20.75, intensity 50
2θ 20.85, intensity 14
2θ 21.14, intensity 14
2θ 21.62, intensity 100
2θ 23.02, intensity 23
2θ 30.21, intensity 21
2θ 37.87, intensity 19

```
12
Lattice="8.863 -4.118 0.000 8.863 4.118 0.000 -4.778 0.000 14.266" Properties=species:S:1:pos:R:3 pbc="T T T"
Cs -0.666 0.000 4.393
Cs 0.974 0.000 10.411
Cs 11.974 0.000 3.855
Cs 13.614 0.000 9.873
Rb 3.855 0.000 1.034
Rb 4.077 0.000 6.623
Rb 8.863 0.000 0.000
Rb 8.871 0.000 7.643
Rb 9.093 0.000 13.232
Na 0.000 0.000 0.000
Na 7.024 0.000 3.684
Na 5.924 0.000 10.582
```

---

# 2
Cs2Rb17Na2: simulated powder X-ray diffraction pattern (λ = 1.5418 Å (Cu Kα)), based on a DFT-relaxed cell (GGA-PBE, Alexandria).
Neutral-atom scattering factors, no anomalous dispersion.

Peak list (10 most intense, 2θ from 15° to 90°, by angle)
2θ 18.63, intensity 22
2θ 21.27, intensity 56
2θ 21.48, intensity 100
2θ 21.56, intensity 59
2θ 21.78, intensity 27
2θ 23.92, intensity 23
2θ 24.09, intensity 59
2θ 30.57, intensity 18
2θ 37.51, intensity 17
2θ 37.79, intensity 21

```
21
Lattice="9.675 -8.237 0.000 9.675 8.237 0.000 -2.449 0.000 12.385" Properties=species:S:1:pos:R:3 pbc="T T T"
Cs 2.768 0.000 4.329
Cs 14.132 0.000 8.055
Rb 4.837 4.118 0.000
Rb 9.675 5.708 0.000
Rb 7.135 4.219 4.249
Rb 1.210 0.000 10.057
Rb 5.491 2.407 9.266
Rb 9.765 4.219 8.136
Rb 7.377 0.000 1.278
Rb 11.409 2.407 3.119
Rb 4.837 -4.118 0.000
Rb 8.450 0.000 6.192
Rb 5.491 -2.407 9.266
Rb 9.523 0.000 11.107
Rb 7.135 -4.219 4.249
Rb 11.409 -2.407 3.119
Rb 15.691 0.000 2.327
Rb 9.765 -4.219 8.136
Rb 9.675 -5.708 0.000
Na 3.613 4.118 6.192
Na 3.613 -4.118 6.192
```

* * * * *

Structure and computed XRD peak list of Pa2ZnPdN5 (DFT lattice parameters and positions (PBE); Cu Ka).
Lines closer than 0.1° are merged.

Largest 6 diffraction maxima, in order of rising 2θ, 2θ = 10–90°:
h k l, d/Å, I/Imax
1 1 0, 3.300, 48
0 2 3, 2.906, 100
0 4 2, 2.743, 74
1 1 2, 2.727, 66
1 3 0, 2.701, 81
1 1 3, 2.308, 88

Atomic structure:
```
data_Pa2ZnPdN5
_symmetry_space_group_name_H-M 'C m c 21'
_symmetry_Int_Tables_number 36
_cell_length_a 3.4059
_cell_length_b 13.3072
_cell_length_c 9.6904
_cell_angle_alpha 90.00
_cell_angle_beta 90.00
_cell_angle_gamma 90.00
loop_
_symmetry_equiv_pos_as_xyz
'x,y,z'
'-x,-y,z+1/2'
'-x,y,z'
'x,-y,z+1/2'
'x+1/2,y+1/2,z'
'-x+1/2,-y+1/2,z+1/2'
'-x+1/2,y+1/2,z'
'x+1/2,-y+1/2,z+1/2'
loop_
_atom_site_label
_atom_site_fract_x
_atom_site_fract_y
_atom_site_fract_z
Pa1 0.0000 0.1156 0.0000
Pa2 0.0000 0.1358 0.6089
Zn1 0.0000 0.4703 0.7892
Pd1 0.0000 0.2040 0.3161
N1 0.0000 0.0473 0.3842
N2 0.0000 0.2877 0.9762
N3 0.0000 0.3062 0.6444
N4 0.0000 0.3611 0.3157
N5 0.0000 0.4934 0.0910
```

=====
>>>

But, assuming you’ve done everything you can and the customer is indeed lost, here is how you calculate churn rate:

Number of Customers Lost / Total Number of Customers x 100

Since you don’t want new customers to hide the number of customers you may have lost, calculate the total number of customers at the beginning of a time period and calculate the number of customers lost at the end.

For example, if you start a sales period with 96 customers and lose 5, your calculation would look like this:

5 / 96 x 100 = 5.2%

To know if your efforts to retain customers are working, you first need to establish your baseline. Calculate your churn rate to get that starting point and work to improve from there.

1. Identify Customers With One Foot Out the Door

Customers–especially customers who have been with you for a while–don’t usually drop your business out of nowhere. Almost always, there will be warning signs that a customer has one foot out the door long before they hit that “cancel” button. The thing is, you need to have systems in place to track and identify those red flags.

By tracking your customers’ journey with CRM software, you can identify the trends of what makes a customer more likely to cancel overtime. This is called predictive analytics. And once you know what to look for, you can put interventions into place to try to get the customer back on track.

For example, the chart below represents how a telecom provider assesses churn risk factors with their new subscribers.

Source: Pointillist

As you can see, this business has identified that billing problems, service outages, and requests for call center help (the red circles) all increase the likelihood that a customer will ultimately cancel their service. Fortunately, they also found that customer care outreach (the green circle) makes a big impact in getting customers to stay on board.

To create your own flow chart, you’ll first need a statistically significant amount of data. You’ll need to use your CRM software to look at each customer that has churned and identify what they have in common. Are most churned customers ordering a specific package? Calling customer service? Reporting errors? You’ll never know what the problem is until you look.

This is a lot of data to juggle, but the good news is that machine learning methods can help you create these predictive models. It can get super technical really quickly, but this is an excellent resource if you’re interested in learning more.

Once you find out what’s making customers go, you can use the same process to discover what encourages customers to stay on board.

2. Make Customers Feel Heard and Remembered

Usually, when we talk sales analytics, we’re talking about using math behind the scenes to calculate what’s working and what’s not working in our business. But because of the nature of sales analytics, we’re also keeping a detailed log of our customers’ experiences.

Use that record to your advantage.

Instead of just giving your sales analytics to your marketing and sales teams, involve your customer service team as well. That way, when a customer reaches out with a question, comment, or concern, your representatives can respond in a way that treats the customer as an individual.

For example, imagine that you ordered 500 parts and, much to your dismay, received the wrong ones. This isn’t the first time this has happened. You call customer service to get it straightened out and instead of throwing you from person to person, the customer service representative acknowledges (without you pointing it out) that this isn’t the first time you’ve had a problem and offers a free upgrade that similar accounts to you often purchase.

Fun fact: You will see significantly better customer satisfaction if you offer compensation and apologize!

Source: BuildFire

I don’t know about you, but I would be much more likely to stay with a company after that. Fortunately (and unfortunately), the bar for customer service is exceedingly low, so if you’re able to go one extra step for your customers, your customer satisfaction will go through the roof.

3. Reward Your Ideal Customers with Status

To keep your best customers coming back for more, reward them with a special title or tier. Not only does giving your customers a cool “status” increase their likelihood to stay around–it also boosts their customer lifetime value (CLV).

So, how do you decide where to put the incentives? Well, in every business, you’ll have certain “tipping points” where customers go from good to great–and great to excellent.

Using segmentation, separate out your customers into different groups based on their value to your business. It could be dollars spent, items ordered, transactions completed, or whatever other indicators you find to be most revealing. For example, if you find that customers who order more than five times have much higher CLV, then make that a segment.

Once you establish these segments, create special rewards to nudge customers from one segment to the next. For example, check out Uber’s rewards program that they rolled out earlier in 2019.

Source: TechCrunch

These categories encourage customers who are on the cusp to spend just a bit more to get a better VIP status, a cooler title, and more perks. But let’s be real: the perks aren’t all that great. It’s not like you get to Uber around for free. It’s the status that’s the real prize.

A fascinating psychological phenomenon to note, though, is that customers only seem to care about their title or tier if they know that there’s an option below them. For example, Uber’s Gold status would be less desirable if it weren’t for the freebie Blue beneath it.

4. Run A/B Tests to See What Works

Predictive analytics only go so far. At some point, the rubber needs to hit the road–you need to put those predictions to the test. And what better way to find out if something actually works than with A/B tests?

Generally, changing something is risky. It’s not advisable to wake up one morning and decide that most customers don’t like X offering so you’re going to replace it. You might be right . . . but you might be terribly, terribly wrong.

Testing something, on the other hand, is smart. Why do you think Burger King tested its fancy new vegan burger in 59 Saint Louis restaurants before rolling it out nationwide?

Any of the points discussed in this article so far can be rolled out in an A/B test. For example, you can launch a Beta loyalty program and only initially offer a small subsection of “good” customers expensive perks. That way, you can be sure the program is profitable before you implement it on a larger scale.

Customers are always going to be more offended when they lose something than when they never get it in the first place. Phase new processes or offerings in slowly and methodically so they don’t backfire and end up driving down customer satisfaction rates.

To return to the vegan Whopper example, imagine if Burger King initially released it nationwide . . . and determined it wasn’t profitable, so they took it back off the menu. Now, instead of making customers happy, they’ve disappointed customers nationwide and risk losing them as customers altogether.

5. Keep an Eye on Your Customer Service KPI

While 9 times out of 10 you want to test, test, test, some decisions are just common sense. And when it comes to customer retention, these KPI (Key Performance Indicators) have been proven over and over again to be essential for “good business.”

Response Time

How long does a customer wait between when they reach out and when they hear back from a representative? Typically we think about response time as it relates to new potential customers, but it’s important for returning ones as well.

Whether they have a problem that needs addressing or a new order that needs placing, customers don’t like to be kept waiting. And, it’s important to note that what customers consider “fast enough” is often vastly different than what businesses consider “fast enough.”

Source: SproutSocial

It’s also important to note that response time should be tracked across all communication methods your business uses–phone calls, email, live chat, social media, etc.

Customer Engagement

Your business is putting tons of effort into building a connection with your audience. But is it successful? Are your customers responding?

By tracking things like email open rate, click-through rate, conversion rate on upsells, responses to requests for feedback, and more, you’ll gain a better understanding of if your customers are actually connecting with the materials you’re putting out into the world.

Another key thing to consider here is engagement differences across devices. Are you getting a much higher email response rate on desktop than on mobile? Maybe your emails aren’t as responsive as you thought.


At the end of the day, retaining customers and reducing customer churn is all about keeping people happy. By paying attention to sales analytics and using data to inform your decision, you can make more intelligent decisions that make your customers feel valued and save you time and money in the process.

Have you found sales analytics to be helpful in customer retention? Do you love a strategy we left out? Share it with us in the comments.